The one thing most of us take for granted is a decent place to rest at the end of each day. The times we may have found ourselves without a roof could be by choice or sheer foolishness. Like spending a night beside a freezing lake high in the Himalayas without a tent. Or riding through torrential rain and not finding a place to sleep till late into the night. We may call it adventure and once we’re back home with a roof over our heads and a warm bed under our weary bones, we can laugh about it.
But when we pause to consider the people we ride past who often have no choice but to sleep out in the open or in poorly constructed slums we dare not call it their “adventure”.
With this realization we decided to do our part to give back to the country that provides the incredible backdrop for many of our rides. So a few months ago, Two Wheeled Expeditions founder Roro La Velle and I began searching for a suitable charitable organization to partner with in the area of home construction for the needy in India. This led us to Habitat For Humanity India, an NGO that has been doing just that for nearly four decades. And this year, they even won the prestigious ‘Mahatma Award for Social Good’ in India for their noble efforts.
It also made sense to collaborate with the local motorcycling community including the decade old “Delhi Bikers Breakfast Run” (DBBR) and our friends and local motorcycle leather artisans at TripMachine to champion this cause and ensure that more people got involved. DBBR had already volunteered for few building projects in the past with Habitat and it was time to renew that commitment.
Riders for Habitat on 12 Oct in Delhi
Thus ‘Ride For Habitat 2019’ got kick-started on 12th October as a long line of motorcycles rode nearly 70kms out of Delhi. School kids waved out of their buses while those in cars had their phones out to video us. Closer to our destination, the village kids ran out of their huts, laughing and waving at this peculiar sight.
Once we reached the Aravali Orchard, our destination for the morning’s post ride activities, helmets off and chai tea in hand, we sat around the manicured garden to hear about the significance of this ride and its implications into the future.
Roro from TWE
While Two Wheeled Expeditions donates $50 for every booking to Habitat, the company also invites international riders to volunteer for building projects. Such on site experiences often enrich and help shape our ideas about what really matters at the end of the day. And while adventure motorcycling is still a privilege, it can also be an opportunity to give back to those in need.
Pramil Aruldoss from Habitat shared passionately about why they do what they do. He said, “for families that end up receiving their home from Habitat For Humanity…when they have a place of belonging, a place to go back to sleep at the end of each day…they are then able to focus on other things like education, health, livelihood, hygiene and sanitation…the long term impact on such families is incredible”
## Data records, as found in the file
~~~
[1]
Here is crystalline La2Er7 at its relaxed geometry from Alexandria. Energies are from PBE.

```
La2Er7
1.0
6.178 0.000 0.000
-3.089 5.350 0.000
0.000 0.000 8.703
La Er
2 7
Direct
0.333 0.667 0.000
0.667 0.333 0.000
0.000 0.000 0.000
0.000 0.332 0.662
0.000 0.668 0.338
0.332 0.000 0.662
0.332 0.332 0.338
0.668 0.000 0.338
0.668 0.668 0.662
```

## Properties
**Space-group type**: P-31m (162)

[2]
Here is crystalline La4Er5 at its relaxed geometry from Alexandria. Energies are from PBE.

```
La4Er5
1.0
-5.410 5.410 2.561
5.410 -5.410 2.561
5.410 5.410 -2.561
La Er
4 5
Direct
0.167 0.167 0.334
0.167 0.833 0.000
0.833 0.167 0.000
0.833 0.833 0.666
0.163 0.500 0.663
0.500 0.163 0.663
0.500 0.500 0.000
0.500 0.837 0.337
0.837 0.500 0.337
```

## Properties
**Space-group type**: I4/mmm (139)

[3]
Here is crystalline LaEr3 at its relaxed geometry from Alexandria. Energies are from PBE.

```
LaEr3
1.0
0.000 4.029 4.029
4.029 0.000 4.029
4.029 4.029 0.000
La Er
1 3
Direct
0.000 0.000 0.000
0.250 0.250 0.250
0.500 0.500 0.500
0.750 0.750 0.750
```

## Properties
**Space-group type**: Fm-3m (225)

[4]
Here is crystalline La6Er5 at its relaxed geometry from Alexandria. Energies are from PBE.

```
La6Er5
1.0
5.337 -7.064 0.000
5.337 7.064 0.000
-3.017 0.000 5.033
La Er
6 5
Direct
0.047 0.339 0.672
0.174 0.174 0.134
0.339 0.047 0.672
0.661 0.953 0.328
0.826 0.826 0.866
0.953 0.661 0.328
0.224 0.776 0.000
0.364 0.636 0.500
0.500 0.500 0.000
0.636 0.364 0.500
0.776 0.224 0.000
```

## Properties
**Space-group type**: C2/m (12)

[5]
Here is crystalline LaEr3 at its relaxed geometry from Alexandria. Energies are from PBE.

```
LaEr3
1.0
-2.537 2.537 5.021
2.537 -2.537 5.021
2.537 2.537 -5.021
La Er
1 3
Direct
0.000 0.000 0.000
0.250 0.750 0.500
0.500 0.500 0.000
0.750 0.250 0.500
```

## Properties
**Space-group type**: I4/mmm (139)

[6]
Here is crystalline La4Er at its relaxed geometry from Alexandria. Energies are from PBE.

```
La4Er
1.0
5.941 0.000 0.000
0.000 5.941 0.000
0.000 0.000 5.941
La Er
4 1
Direct
0.000 0.000 0.000
0.000 0.500 0.500
0.500 0.000 0.500
0.500 0.500 0.000
0.500 0.500 0.500
```

## Properties
**Space-group type**: Pm-3m (221)

Computed formation energy, in the same sequence as the records: 0.027; 0.034; 0.114; 0.128; 0.040; 0.574 eV/atom.
Computed total magnetization, in the same sequence as the records: 0.0; 0.0; 0.0; 0.0; 0.0; 0.3 μB/f.u..

----------

#A
Here is a geometry-optimized Dy4Er structure from Alexandria. Energies are from PBE.

Total magnetization: 0.000 μB per atom
Calculated density: 8.8 g cm⁻³

Geometry as CIF:
```
data_Dy4Er
_chemical_formula_sum 'Dy4 Er1'
_space_group_name_H-M_alt 'P 1'
_space_group_IT_number 1
_space_group_name_Hall 'P 1'
_cell_length_a 3.5274
_cell_length_b 3.5274
_cell_length_c 14.4947
_cell_angle_alpha 83.13
_cell_angle_beta 83.13
_cell_angle_gamma 60.05
loop_
_atom_site_label
_atom_site_type_symbol
_atom_site_fract_x
_atom_site_fract_y
_atom_site_fract_z
Dy1 Dy 0.7996 0.7996 0.6002
~~~
Josh from TWE
The vision of Habitat For Humanity to ensure “a world where everyone has a decent place to live” profound. And it requires unique partnerships and initiatives such as ‘Ride For Habitat’ to pursue it. The invitation is open to all of us from across borders and from all backgrounds. Maybe for some of us, it may just take a night out on a cold mountain without a tent or getting stranded in the rain to make us realize what a difference a house makes to our wellbeing.